Using git repositories for platform versioning

This is a guide to my current thoughts on using git to maintain and distribute platform releases for Drupal-based projects. Posted by Thomas Sutton on August 31, 2011

I’m not sure how widely this might be applicable but I’ve found it an interesting problem to think about and it’s going to help iron out some wrinkles in our workflow.

We have a standard platform that does a great deal of the scutwork required of a generic CMS based on Drupal. What’s included in it doesn’t really matter (it’s an install profile that does a bunch of stuff), just that it’s the base of many of our projects and it is maintained as a unit and upgraded as a whole on individual sites.

I currently maintain this using a bunch of git repos, a custom feature server (which uses ssh tunnels to access the git repos), drush make and about a dozen other moving parts which produce a new build of the platform in a tarball. Needless to say this is tedious, error prone, and means new releases are slower than they should be. Git to the rescue!

Rather than building tarballs of platform releases manually I’ll be maintaining canonical versions in repositories and using git to manage applying upgrades to individual projects.

Creating a platform

This first step is creating my “blessed” platform repository. To keep things simple I’ll describe managing two platforms:

  • 6.x is the current release of Drupal 6; and

+++
(1)
DFT (ωB97M-V/def2-TZVPD) results for C21H21ClFNO3 in the gas phase.

Positions of all 48 atoms, in Å:
O1 -1.44110 -3.65446 -3.71351
O2 1.25695 -0.28331 0.37262
F1 0.91429 -9.02133 -0.85001
Cl1 -1.58394 7.61441 4.87632
O3 -0.59222 3.66354 -0.22024
C1 -0.62952 -3.79559 -2.80820
C2 0.16469 -2.68396 -2.31249
C3 -0.29727 -1.50106 -1.87274
C4 0.86646 -6.70264 -0.65450
C5 -0.24786 -7.60595 -2.62166
C6 -2.09407 5.55829 3.19506
C7 0.20855 5.78339 3.75865
C8 0.55105 -5.41782 -1.09827
C9 -0.59340 -6.30915 -3.01637
C10 -1.72443 4.45881 2.39174
C11 0.58883 4.77417 2.93901
C12 0.50453 -7.83379 -1.43279
C13 -1.10626 6.16827 3.85702
C14 -0.24475 -5.17550 -2.30441
C15 -0.40991 4.06892 2.10501
C16 1.41856 2.54229 0.76233
C17 -0.77472 1.66523 1.18675
C18 -0.07857 3.04239 0.96107
C19 0.74169 -0.28632 -1.77111
C20 1.60498 1.56676 -0.45254
C21 -0.65125 0.84648 -0.09069
N1 0.69110 0.40843 -0.44550
H1 -0.35371 4.63679 -0.19168
H2 1.25300 -2.71294 -2.53064
H3 -1.34022 -1.23610 -1.76306
H4 1.44307 -6.98428 0.20210
H5 -0.35888 -8.47367 -3.18341
H6 -3.14075 5.69475 3.31144
H7 0.97448 6.37571 4.31742
H8 0.62631 -4.65434 -0.35782
H9 -1.04208 -6.19637 -3.99199
H10 -2.41748 3.76898 1.96699
H11 1.63822 4.54840 2.89493
H12 1.97997 3.51898 0.63057
H13 1.73074 2.10777 1.74004
H14 -1.81241 1.88284 1.40615
H15 -0.33540 1.22780 2.14206
H16 1.76661 -0.67385 -2.08498
H17 0.53476 0.43869 -2.55088
H18 1.44202 2.15626 -1.42150
H19 2.72701 1.30808 -0.50162
H20 -1.09437 1.41050 -0.88875
H21 -1.26328 -0.03449 0.11407

Output
Orbital gap, eV: 8.078
ΔE to the lowest compared entry with this formula, charge and spin, kJ/mol: 292.6
SMILES: O=C(/C=C/C[N@+]1([O-])CC[C@@](O)(c2ccc(Cl)cc2)CC1)c1ccc(F)cc1
DFT total energy, hartree: -1653.13879
E_HOMO, eV: -8.23
Net charge: 0

natural (NBO) analysis output, partial charges in e: -0.52, -0.73, -0.33, -0.06, -0.74, 0.53, -0.29, -0.13, -0.28, -0.29, -0.26, -0.26, -0.15, -0.14, -0.18, -0.18, 0.43, 0.05, -0.17, -0.04, -0.44, -0.42, 0.25, -0.25, -0.21, -0.25, 0.08, 0.49, 0.23, 0.21, 0.23, 0.23, 0.24, 0.24, 0.23, 0.24, 0.21, 0.22, 0.22, 0.24, 0.22, 0.25, 0.23, 0.20, 0.19, 0.25, 0.22, 0.23

---

(2)
DFT (ωB97M-V/def2-TZVPD) results for C21H21ClFNO4 in the gas phase.

Positions of all 49 atoms, in Å:
C1 -3.23757 -4.13652 0.58628
H1 -2.24065 -4.35993 0.19466
O1 -3.66768 -2.85281 0.20342
C2 -2.91363 -1.77080 0.55908
C3 -1.78262 -1.86367 1.36364
C4 -1.05901 -0.74661 1.72541
C5 -1.43087 0.51101 1.26229
C6 -2.56444 0.61387 0.46146
C7 -3.31619 -0.49667 0.10486
O2 -4.41170 -0.20479 -0.65146
C8 -5.06965 -1.20518 -1.39814
H2 -5.76930 -0.66634 -2.03732
H3 -5.62048 -1.89593 -0.75688
H4 -4.36892 -1.76660 -2.01960
H5 -2.92359 1.56850 0.11030
C9 -0.57254 1.65747 1.61685
O3 0.04002 1.70335 2.65993
C10 -0.45410 2.76502 0.56038
C11 0.59909 3.80741 0.96658
C12 1.93060 3.55520 0.25316
H6 2.74360 4.02337 0.80851
H7 1.92005 3.99181 -0.74741
C13 2.20093 2.05905 0.14494
N1 1.17311 1.43473 -0.67027
C14 1.27281 0.20074 -1.19318
O4 0.38105 -0.34116 -1.82102
+++

  • 7.x is the current release of Drupal 7.

As this repo is somewhat special I’m going to take some pains to make sure it’s structured exactly as I want it. In particular, I want every branch to be correspond to one of my platforms. This is a little tricky but it only happens once so don’t worry too much if you find it confusing.

# Initialise a new empty repo and add the origin I'll push the result to
mkdir platform
cd platform
git init
git remote add origin git@gorilla:/platforms/drupal.git

# First, let's create the Drupal 6 branch.
git symbolic-ref HEAD refs/heads/6.x
rm .git/index
git clean -fdx
drush dl --yes --drupal-project-rename=htdocs drupal-6
git add htdocs
git commit -m 'drupal-6'
git push origin 6.x

# Now, let's take care of the Drupal 7 branch.
git symbolic-ref HEAD refs/heads/7.x
rm .git/index
git clean -fdx
drush dl --yes --drupal-project-rename=htdocs drupal-7
git add htdocs
git commit -m 'drupal-7'
git push origin 7.x

This sequence is a little verbose (the rm and git clean for Drupal 6 aren’t strictly necessary) but it should be obvious how I can add additional platforms.

Assuming that the repo at git@gorilla:/platforms/drupal.git was newly inited, it should now contain a 6.x branch containing Drupal 6 and a 7.x branch containing Drupal 7.

For safety’s sake, it’d probably be a good idea to have push restrictions on the platform repository to prevent accidental and illicit modifications flowing back from projects into platforms. It’s outside the scope of this document to describe how to do this but you probably want to use gitolite or something else with fine-grained access control (i.e. not gitosis).

Starting a project

Now that my platforms are available in git I can use them as the starting point for a new project. I just clone the right branch from the platform repo and I’m off!

git clone --origin platform --branch 6.x git@gorilla:/platforms/drupal
git checkout -b master

It’s a bit confusing at first glance, so I’ll break that down a bit. First I clone the platform repository with the git clone command. Instead of letting it use default values I’m telling it what to call the origin remote in the new repository (platform instead of origin) and which branch to clone (6.x instead of the default HEAD in the remote). Running this command will create a new repository in with a remote called platform and a single branch called 6.x (based on the 6.x in platform).

I recommend using the 6.x branch exclusively for pulling in new releases of the platform so I also create a master branch to work on with the next git command does.

Now has two branches: 6.x where I can pull in new releases of the platform, and master where I’ll be working on the site.

Upgrading a project

Upgrading a project to run on the latest version of it’s platform should be a simple matter of pulling the appropriate branch and merging the changes into master.

git checkout 6.x
git pull
git checkout master
git merge 6.x

Here I checkout the “platform” branch (6.x as in the example above) and pull in any remote changes. Then I checkout the master branch and merge the changes in the updated 6.x branch.

Unless I’ve been a naughty boy and modified files that are “owned” by the platform this shouldn’t result in so much as a merge conflict.


I haven’t rolled this new method out at work yet but it’s in the pipeline. I’m quite excited by it and I think it’ll help make what’s currently tedious and error prone into something of a NOOP. Hopefully the rest of the team agrees!

Have you done something similar? Have I missed some serious consideration? Is this all old hat and I should get with the programme? I’d love to hear any comments or feedback on the approach I’ve described.

This post was published on August 31, 2011 and last modified on January 26, 2024. It is tagged with: howto, git, drupal, workflow, platforms, distribution.